the unity project relies on an opencv library
download it here
unzip it to your Assets folder in the unity project
When using two brio cameras, they historically have problems outputting the full 4k they are suposed to. One workaround has been to plug them both into a USB C hub, and plug it into a USBC thunderbolt port
another person told me their workaround was to download some sort of program that people use for twitch and only fans that optimizes the cameras for streaming
anyway first step is to connect the cameras and then (using something like amcap or the logitune app
- lock the exposure (i use -8) (too short and it breaks a projector into rainbows, too long and it overexposes)
- lock the focus (i just locked em down to 0 and they work fine, kind of like an infinity focus)
Then launch the Unity Structured light program
click the "Canvas SL" This lets you look at all the options for the structured light program
- set projector width and height
- set a resolution divider for the projector (sometimes your projector will project too narrow of lines for your camera to see)
- select the correct ports for the cameras. Cam A is usually the right camera (when looking from behind the camera pair). Cam A will display on the top in the canvas view
Next you can hit the big play button and start the program running.
Switch to your game window and bring it to the projector's display
Press F11 to activate the FULLSCREEN plugin and make the game window entirely fullscreen without any bars
When it first starts up, your screen will show you previews of both cameras. You can use this to double check cam A is on top
- press A to activate automatic mode
- then press spacebar to start the automatic scan
- After the scan has stopped, first press P to process all the images (this will take a minute or so)
- After that is finished, you can press S to save all the images to your harddrive (this will also take a minute or so)
Currently files get saved to
C:\Users\andre\Desktop\Glowcake Hoss\Structured Light\Graycode
To help with colmap processing, your data should eventually be in a directory/file naming structure like this
└── runGrayCodeGoocher.bat
├── project_scan_date (eg. Scan_2024-01-30T22_31Z)
│ ├── pg
│ │ ├── models
│ │ ├── img
│ │ │ ├── a
│ │ │ │ └── "CamA_canon"+".png"
│ │ │ ├── b
│ │ │ │ └── "CamB_canon"+".png"
## Next to the text, the page also holds calculated molecules
/*
12
Properties=species:S:1:pos:R:3:forces:R:3 method="wB97M-V/def2-TZVPD" e_above_lowest_kj_mol=418.6 lumo_energy_ev="-1.8 / -1.4" total_energy_ha=-377.5046 homo_ev="-9.61 / -8.63"
N 3.69212 -0.48232 -0.15267 1.925 -0.351 -0.200
H 1.15125 1.74190 -0.51608 0.139 1.470 -0.706
N -1.34700 -1.34180 -0.21177 2.141 -1.896 -0.623
H -1.32887 1.93725 -0.11688 -1.537 2.397 -0.109
C 2.59595 -0.30348 0.08418 -1.257 0.784 -0.392
H -2.88854 -0.03989 -0.11248 1.706 0.601 0.153
H 0.87337 -0.90361 0.92044 -1.031 -0.026 -0.114
C 0.53003 0.99968 -0.11879 -0.786 -2.981 1.163
C 1.20251 -0.11108 0.27071 0.440 -0.065 0.677
O -1.82919 -2.42694 0.06448 -0.346 1.552 0.088
C -0.91400 1.01355 -0.03121 1.726 -1.705 -0.652
C -1.73764 -0.08325 -0.07990 -3.120 0.220 0.714

---

14
Properties=species:S:1:pos:R:3:forces:R:3 method="wB97M-V/def2-TZVPD" e_above_lowest_kj_mol=294.4 lumo_energy_ev=0.7 total_energy_ha=-776.0280 homo_ev=-8.98
C 1.66580 -0.91764 1.72741 -0.438 -0.668 0.102
C -0.54933 -0.25356 0.77242 1.228 -0.375 0.300
H 1.98321 -1.65756 0.97043 -0.144 0.404 0.426
C -0.22728 0.44348 -1.46090 -1.053 0.103 0.339
H 2.03598 -1.20868 2.71620 -0.314 -0.152 -0.228
S -2.10895 0.25894 0.94069 0.330 -0.196 -0.234
H -0.32223 -0.87599 2.62015 0.155 -0.075 0.362
O 0.26836 -0.18943 -0.34169 -0.955 0.430 -0.101
H 2.10906 0.03833 1.51226 0.158 0.403 -0.319
N 0.50562 0.81961 -2.41229 -0.238 -0.270 0.227
H 2.27550 0.99270 -2.84492 0.315 -0.001 -0.249
N 0.19431 -0.80466 1.76554 -0.186 0.420 -0.766
O 1.82403 0.46392 -2.18777 0.405 0.117 0.058
H -1.31199 0.63394 -1.49577 0.737 -0.139 0.085

---
*/
│ │ │ ├── projector
│ │ │ │ └── white3840.png (a blank png with the width and height of the projector you used)
│ └── database.db
│ ├── sl
│ │ ├── a
│ │ │ └── "CamA_" + graycodeseriesnum + ".png"
│ │ ├── b
│ │ │ └── "CamB_" + graycodeseriesnum + ".png"
│ │ ├── decoded
│ │ │ └── ProjPixMatA.png
│ │ │ └── ProjPixMatB.png
│ │ │ └── ProjPointsCamA.CSV
│ │ │ └── ProjPointsCamB.CSV
After doing a structrured light scan, copy your scan folder to where it sits at the same level at the
Open Colmap
Create new project
make a new database in the
project->pg folder
call it "database.db"
set the images to point to the project->pg->img folder
click "Feature Extraction" choose : Camera mode Choose : "Shared per sub-folder" click "Extract" close that dialog
now click "Feature Matching" click "Run" close the dialog
Run the goocher to tie things together
You might need to customize the goocher to the projector you are using Here is a list of the arguments that the Graycode goocher contains and their defaults you can edit the rungraycodegoocher.bat file to change these
parser.add_argument("--project", default="glowcake_01_2024")
parser.add_argument("--db", default="pg/database.db")
parser.add_argument("--camAPoints", default="sl/ProjPointsCamA.CSV")
parser.add_argument("--camBPoints", default="sl/ProjPointsCamB.CSV")
parser.add_argument("--projWidth", default="3840")
parser.add_argument("--projHeight", default="2160")
parser.add_argument("--projImage", default="white3840.png")
parser.add_argument("--subSample", default="1")
parser.add_argument("--camModel", default="Radial")
it should tell you you are finished graycode gooching, and you should have a new database file in your project!
back in colmap click edit project
choose the NEW database file you made with the goocher
click the database button manually edit the cameras intrinsics to match what you collected earlier
go to Reconstruction->reconstruction options click "Triangulation..." uncheck "ignore two-view" go to "Bundle adjust..." uncheck all three "refine..."
Hit the big play button, and then in a minute or two you should have your model!
click File->export model as Text save your model in your pg->models folder
There is a script you can find online that will import colmap scenes into blender. When importing, in the import options, make sure to click “import point cloud as mesh” so that you get something that can actually be rendered in blender (you can’t render pointclouds in blender without a headache)
File - > Import - > Colamp make sure to click "import points as mesh object"
It should import and you should see your scan
next save the whole blender project
Open your unity project
click "Import New Asset"
Choose your blender file(it might take a second to load)
you can drag it into your scene now
you need to set your projector camera as your "main camera" and deactivate any cameras above it
Bring your game window to the live projector screen Hit F11 to make full screen, all pixels
now you can dress your scene and do as you wish, and the cameras and objects should be aligned!
(Other info
insert camera params. Cam params from colmap
eg. ocv is
// fx, fy, cx, cy, k1, k2, p1, p2
If the cameras and projector are substantially different from other scans, we need to do a really good full scan and get the camera and projector intrinsics from this. Later if we already have the intrinsics for the cameras and projectors, we can skip to the "Minimal Scan" option, where we do not need to do a long format photogrammetry scan.
This runs a program that captures stereo, high res photos of a scene. Once started it should make a beep/ding sound every time the computer captures an image. The output shows how many photos have been taken. This is useful for a photogrammetry scan of a scene.
Run example_aruco_
Collect a bunch of photos It takes a photo about every two seconds and should make your computer ding
It takes a while to save the photos because they are large. So we save them all after the program have captured photos to memory.
Press "s" or "esc" to start saving Files get saved to C:\Users\andre\Desktop\Glowcake Hoss\Scans
You need to go into the PG photogrammetry folders called A and B and find the photos taken in the position of the canonical cameras for the Structured light ((usually this is your photo called camA_im0.png)) and rename two of those images to be copies of the canonical camera images *
- a/CamA_WB_1.png
- And
- b/CamB_WB_1.png
in colmap create a new database with an images folder that points to where the a and b subfolders are
- click "Feature Extraction"
- choose "shared intrinsics per subfolder
- Choose the camera model you are using (currently we are using Radial)
- run feature extraction
- next run Match features
This is for a single object being scanned by an arbitrary number of Proj-Cam-Cam triangles
This would be the resulting structure for a scan with two separate structured light scans and knowledge of existing intrinsics
└── runGrayCodeGoocher.bat
├── project_scan_date (eg. Scan_2024-01-30T22_31Z)
│ ├── pg
│ │ ├── models
│ │ ├── img
│ │ │ ├── t0_a
│ │ │ │ └── "CamA_canon"+".png"
│ │ │ ├── t0_b
│ │ │ │ └── "CamB_canon"+".png"
│ │ │ ├── t1_a
│ │ │ │ └── "CamA_canon"+".png"
│ │ │ ├── t1_b
│ │ │ │ └── "CamB_canon"+".png"
│ │ ├── img_injected
│ │ │ ├── t0_a
│ │ │ │ └── "CamA_canon"+".png"
│ │ │ ├── t0_b
│ │ │ │ └── "CamB_canon"+".png"
│ │ │ ├── t0_projector
│ │ │ │ └── blank.png (a blank png with the width and height of the projector you used)
│ │ │ ├── t1_a
│ │ │ │ └── "CamA_canon"+".png"
│ │ │ ├── t1_b
│ │ │ │ └── "CamB_canon"+".png"
│ │ │ ├── t1_projector
│ │ │ │ └── blank.png (a blank png with the width and height of the projector you used)
│ └── database.db
│ └── database_injected_Radial.db
│ ├── sl_t0
│ │ └── triangle_info.yaml
│ │ ├── a
│ │ │ └── "CamA_" + graycodeseriesnum + ".png"
│ │ ├── b
│ │ │ └── "CamB_" + graycodeseriesnum + ".png"
│ │ ├── proj
│ │ ├── decoded
│ │ │ └── ProjPixMatA.png
│ │ │ └── ProjPixMatB.png
│ │ │ └── ProjPointsCamA.CSV
│ │ │ └── ProjPointsCamB.CSV
│ ├── sl_t1
│ │ └── triangle_info.yaml
│ │ ├── a
│ │ │ └── "CamA_" + graycodeseriesnum + ".png"
│ │ ├── b
│ │ │ └── "CamB_" + graycodeseriesnum + ".png"
│ │ ├── proj
│ │ ├── decoded
│ │ │ └── ProjPixMatA.png
│ │ │ └── ProjPixMatB.png
│ │ │ └── ProjPointsCamA.CSV
│ │ │ └── ProjPointsCamB.CSV
it would have a yaml file in each SL scan that is formatted like this:
# Example YAML file with Light Triangles and Nodes that are projectors or cameras
# Each light triangle has one projector and two cameras
-name: t0
- type: cam
width: 4096
height: 2160
cameramodel: Radial
intrinsics: 3060.217151, 2010.003211, 980.941691, 0.176927, -0.308681
- type: cam
width: 4096
height: 2160
cameramodel: Radial
intrinsics: 3058.494720, 2047.179953, 1098.225191, 0.193613, -0.357522
- type: projector
width: 3840
height: 2160
cameramodel: Radial
intrinsics: 3058.494720, 2047.179953, 1098.225191, 0.193613, -0.357522
Blank out the lines underneath Cam A and Cam B (don't d delete leave blank
Gotta run Clear points!
colmap.bat point_triangulator --database_path C:\Users\andre\Desktop\colmapPy\demoGrayCode\vs_dec5_SimplePinhole_0_new.db --image_path C:\Users\andre\Desktop\colmapPy\demoGrayCode\img --input_path C:\Users\andre\Desktop\colmapPy\demoGrayCode\VSdec5_Gooched_simplepinManEdit --output_path C:\Users\andre\Desktop\colmapPy\demoGrayCode\VSdec5_tri --Mapper.tri_ignore_two_view_tracks 1 --clear_points 1
reduce track length to 2!
colmap.bat mapper --database_path C:\Users\andre\Desktop\colmapPy\demoGrayCode\vs_dec5_SimplePinhole_0_new.db --image_path C:\Users\andre\Desktop\colmapPy\demoGrayCode\img --input_path C:\Users\andre\Desktop\colmapPy\demoGrayCode\VSdec5_tri --output_path C:\Users\andre\Desktop\colmapPy\demoGrayCode\VSdec5_tri_map --Mapper.tri_ignore_two_view_tracks 1